Your job: count the lines further below that contain the word "isolated" and give the number alone.

1.
C15H34CrNO2P2Si as an isolated structure. Source: the Open Molecules 2025 dataset; level of theory: ωB97M-V with the def2-TZVPD basis set.

The geometry in XYZ format:
```
56
Properties=species:S:1:pos:R:3
Cr 0.09 -0.40 0.12
P 1.95 -0.34 -1.28
C 1.11 -1.02 -2.80
C -0.38 -1.40 -2.57
N -0.98 -1.09 -1.37
C -2.30 -1.33 -1.13
C -3.02 -2.13 -2.02
C -2.37 -2.60 -3.18
C -1.07 -2.19 -3.49
C -2.97 -0.80 0.13
P -2.20 0.84 0.66
H -0.52 -2.51 -4.39
H -4.06 -2.35 -1.76
H -2.93 -3.20 -3.88
H -4.06 -0.67 -0.05
H -2.89 -1.54 0.97
H 1.18 -0.34 -3.60
H 1.69 -1.92 -3.06
H -0.16 2.36 -3.77
O -0.28 2.53 -4.67
H -0.63 1.69 -5.01
H -1.12 2.96 -0.24
O -0.28 2.65 -0.61
H 0.15 3.47 -0.91
C -3.32 1.99 -0.29
H -4.37 1.65 -0.39
H -3.38 2.97 0.22
H -2.97 2.16 -1.32
C -2.70 1.15 2.39
H -2.09 2.00 2.69
H -3.75 1.42 2.57
H -2.42 0.32 3.04
C 3.15 -1.66 -1.05
H 3.78 -1.70 -1.94
H 3.78 -1.50 -0.17
H 2.64 -2.62 -0.91
C 2.81 1.18 -1.72
H 3.52 1.41 -0.92
H 3.34 1.03 -2.67
H 2.12 2.03 -1.82
C 0.51 1.18 3.79
Si 1.55 -0.16 3.00
C 2.98 0.65 2.09
C 2.18 -1.33 4.31
C 0.52 -1.31 1.92
H 1.10 1.65 4.59
H -0.40 0.78 4.25
H 0.21 1.97 3.09
H 3.60 1.17 2.84
H 3.62 -0.08 1.58
H 2.67 1.40 1.35
H 1.34 -1.85 4.78
H 2.85 -2.07 3.87
H 2.73 -0.76 5.09
H 0.99 -2.19 1.42
H -0.52 -1.58 2.23
```

The net charge is +2. The expectation value of S² is 4.197. Its HOMO-LUMO gap (alpha / beta) is 7.315 / 8.873 eV. The multiplicity is 4. The calculated total energy is -2813.32014 hartree.



2.
A 2-piece molecular cluster, CH2O4S overall. Source: the Open Molecules 2025 dataset; level of theory: ωB97M-V with the def2-TZVPD basis set.

The geometry in XYZ format:
```
8
Properties=species:S:1:pos:R:3
C 1.10 0.48 -0.11
O -0.89 -1.28 0.27
O -2.38 0.71 0.15
O 0.02 1.07 -0.14
O 1.41 -0.60 -0.54
S -1.43 0.00 -0.56
H 2.21 1.30 0.80
H -0.04 -1.69 0.14
```

Its HOMO-LUMO gap is 9.876 eV. The relative energy (zero: lowest compared OMol25 entry of this formula, charge and spin) is 65.56 kcal/mol. The calculated total energy is -738.34521 hartree.



3.
C20H16Cl2O6PdS as an isolated structure. Source: the Open Molecules 2025 dataset; level of theory: ωB97M-V with the def2-TZVPD basis set.

The geometry in XYZ format:
```
46
Properties=species:S:1:pos:R:3
Pd 1.73 -0.66 2.81
O -2.56 -0.94 7.65
C -1.90 -0.95 6.66
C -1.43 0.33 5.90
O -1.80 1.45 6.03
C -0.38 -0.15 4.86
C -0.28 -1.70 4.93
O 0.52 -2.28 4.25
C -1.33 -2.21 5.95
O -1.65 -3.34 6.10
O 0.29 0.50 4.10
Cl 3.66 -0.09 4.17
C 4.75 -0.58 2.83
Cl 3.70 -1.20 1.51
H 5.39 -1.38 3.18
H 5.29 0.29 2.48
O 0.48 -0.88 1.39
S 0.23 0.02 0.12
C 0.85 -0.99 -1.25
C 1.11 -0.13 -2.46
C 0.45 -0.40 -3.65
C 0.73 0.35 -4.79
C 1.67 1.37 -4.73
C 2.32 1.65 -3.54
C 2.04 0.91 -2.40
C -1.56 -0.13 -0.05
C -2.00 0.40 -1.38
C -2.69 -0.44 -2.25
C -3.17 0.05 -3.45
C -2.94 1.38 -3.80
C -2.22 2.21 -2.95
C -1.75 1.72 -1.74
H 0.14 -1.79 -1.43
H 1.78 -1.40 -0.85
H -0.27 -1.20 -3.71
H 0.23 0.12 -5.72
H 1.90 1.95 -5.62
H 3.06 2.44 -3.49
H 2.55 1.14 -1.47
H -1.96 0.45 0.79
H -1.79 -1.19 0.11
H -2.87 -1.48 -1.97
H -3.73 -0.59 -4.11
H -3.33 1.76 -4.73
H -2.04 3.24 -3.22
H -1.21 2.38 -1.07
```

The net charge is +2. Its HOMO-LUMO gap is 4.537 eV. The relative energy (zero: lowest compared OMol25 entry of this formula, charge and spin) is 0.00 kcal/mol. The calculated total energy is -2668.86155 hartree.

2